== Contents ==
********
# 1
A 6-piece molecular cluster, C42H80Cl4F8INO9P overall at a distorted geometry, computed with the ωB97M-V functional and the def2-TZVPD basis.

Calculated values
maximum force: 0.022 hartree/bohr
net charge: +1
multiplicity: 1

Last column: Löwdin charge in e.
Cartesian coordinates (Å):
C  4.11155  0.15982  -0.88008  -0.067
C  2.67347  -0.05340  -1.22029  -0.696
Cl  1.65329  -0.55150  0.08368  0.827
C  2.10694  0.06789  -2.43459  -0.710
Cl  3.07279  0.42124  -3.81453  0.819
C  0.65918  -0.12112  -2.70163  -0.269
N  0.18958  -1.31722  -2.76520  -0.299
I  1.29676  -3.01774  -2.51274  1.279
C  -1.29839  -1.37912  -2.92029  -0.488
O  -1.69392  -2.35899  -3.82812  -0.045
C  -1.87770  -1.70059  -1.52164  -0.054
C  -2.00167  -3.19921  -1.19210  -0.183
O  -1.26776  -3.53902  -0.01857  -0.142
C  -1.92929  -3.30464  1.19908  -0.087
C  -3.04928  -4.32379  1.50074  -0.384
F  -2.88453  -5.43061  0.74893  0.144
F  -2.92963  -4.69835  2.79621  0.123
C  -4.52400  -3.79387  1.31527  -0.336
F  -5.09177  -3.62590  2.52480  0.151
F  -4.50169  -2.56814  0.71468  0.116
C  -5.48359  -4.68407  0.49172  -0.390
F  -5.66483  -5.82498  1.16457  0.170
F  -4.93104  -4.96398  -0.70469  0.144
C  -6.85061  -3.97458  0.28485  -0.285
F  -6.84466  -3.37091  -0.92547  0.095
F  -7.82990  -4.89415  0.29788  0.117
C  -1.58950  0.05983  -3.46758  -0.417
C  -3.04353  0.45557  -3.12678  -0.091
P  -1.50717  0.23984  -5.36501  0.708
O  -0.24887  -0.77217  -5.69934  -0.336
Cl  -3.09768  -0.88929  -6.01911  0.340
C  -0.41383  0.97824  -2.90232  -0.278
C  0.26862  1.96516  -3.89052  -0.193
C  -0.44671  3.21204  -4.48118  -0.215
C  -1.89897  3.52949  -4.14080  -0.202
C  -2.30563  4.86477  -4.79382  -0.253
O  -3.07386  5.69948  -3.94892  -0.064
C  -0.69845  1.50951  -1.46934  -0.148
C  0.32093  2.42596  -0.77393  -0.675
C  0.11749  2.42005  0.75154  -0.114
Cl  0.14856  4.12672  -1.33952  0.714
H  4.37383  -0.40768  0.01036  0.084
H  4.29590  1.22739  -0.70567  0.092
H  4.75054  -0.15983  -1.70439  0.079
H  -0.98520  -2.98383  -4.02237  0.054
H  -2.83910  -1.21432  -1.38219  0.117
H  -1.20472  -1.27864  -0.76766  0.104
H  -1.60480  -3.83433  -1.97959  0.097
H  -3.05274  -3.47050  -1.08776  0.116
H  -2.31367  -2.28333  1.26026  0.141
H  -1.18962  -3.43063  1.99012  0.104
H  -7.04368  -3.21482  1.04327  0.170
H  -3.48576  1.10500  -3.87871  0.053
H  -3.66140  -0.44367  -3.11319  0.086
H  -3.13700  0.92972  -2.15199  0.086
H  -0.53450  -1.48068  -6.29163  0.049
H  0.66612  1.38282  -4.72542  0.067
H  1.14845  2.33569  -3.35707  0.082
H  -0.38329  3.15164  -5.57228  0.113
H  0.14762  4.08165  -4.19352  0.090
H  -2.05717  3.63410  -3.06826  0.087
H  -2.53554  2.75523  -4.56396  0.066
H  -1.41220  5.44411  -5.04015  0.120
H  -2.82832  4.67192  -5.73875  0.122
H  -3.84448  5.21849  -3.63151  0.086
H  -1.65849  2.02884  -1.45136  0.113
H  -0.82258  0.63587  -0.82437  0.083
H  1.34723  2.16269  -1.02235  0.067
H  -0.52428  1.59085  1.05687  0.073
H  -0.31768  3.35558  1.09196  0.059
H  1.07304  2.27641  1.26027  0.077
C  5.78272  3.98529  -2.89799  -0.068
C  4.38278  4.00389  -2.31040  -0.291
O  4.33459  3.90530  -0.89800  -0.187
C  4.97843  4.94632  -0.17491  -0.270
C  4.41197  6.32783  -0.44576  -0.071
H  6.31986  3.08884  -2.58387  0.081
H  5.72888  3.99584  -3.98701  0.081
H  6.36748  4.85169  -2.58902  0.072
H  3.83376  3.12520  -2.65101  0.082
H  3.82946  4.88221  -2.66111  0.111
H  6.05777  4.92888  -0.35921  0.111
H  4.83224  4.68640  0.87309  0.119
H  4.54945  6.63466  -1.48324  0.069
H  4.91511  7.06147  0.18377  0.082
H  3.34427  6.35437  -0.22345  0.077
C  -4.15619  8.08076  -1.32375  -0.077
C  -4.03237  8.09517  0.18788  -0.278
O  -3.30507  7.00476  0.73054  -0.160
C  -1.95070  6.88726  0.33172  -0.295
C  -1.09493  8.09365  0.67739  -0.073
H  -4.62720  7.15673  -1.65806  0.072
H  -4.77145  8.91945  -1.65099  0.080
H  -3.19173  8.16127  -1.82428  0.067
H  -5.02222  8.01767  0.63762  0.119
H  -3.60569  9.04542  0.52754  0.108
H  -1.87640  6.65801  -0.73896  0.094
********
== Exercise ==
Your job: filter the lines further up: keep the lines with the word "cluster".
== Solution ==
A 6-piece molecular cluster, C42H80Cl4F8INO9P overall at a distorted geometry, computed with the ωB97M-V functional and the def2-TZVPD basis.